Contents =
____________
Starting from a structure optimized by DFT (GGA-PBE), the powder diffraction line list of SrCa2I6 was computed for Cu Kα, 1.54184 Å.
No peak broadening, texture or thermal motion is included.

Cell lengths 7.298, 27.060, 8.094 Å; angles 90.00, 90.00, 90.00 degrees
Atoms (fractional coordinates):
Sr: 0.000 0.121 0.250
Sr: 0.000 0.879 0.750
Sr: 0.500 0.379 0.750
Sr: 0.500 0.621 0.250
Ca: 0.000 0.213 0.750
Ca: 0.000 0.454 0.250
Ca: 0.000 0.546 0.750
Ca: 0.000 0.787 0.250
Ca: 0.500 0.046 0.750
Ca: 0.500 0.287 0.250
Ca: 0.500 0.713 0.750
Ca: 0.500 0.954 0.250
I: 0.237 0.463 0.572
I: 0.237 0.537 0.072
I: 0.242 0.128 0.592
I: 0.242 0.872 0.092
I: 0.250 0.207 0.068
I: 0.250 0.293 0.568
I: 0.250 0.707 0.068
I: 0.250 0.793 0.568
I: 0.258 0.372 0.092
I: 0.258 0.628 0.592
I: 0.263 0.037 0.072
I: 0.263 0.963 0.572
I: 0.737 0.037 0.428
I: 0.737 0.963 0.928
I: 0.742 0.372 0.408
I: 0.742 0.628 0.908
I: 0.750 0.207 0.432
I: 0.750 0.293 0.932
I: 0.750 0.707 0.432
I: 0.750 0.793 0.932
I: 0.758 0.128 0.908
I: 0.758 0.872 0.408
I: 0.763 0.463 0.928
I: 0.763 0.537 0.428

Principal peaks in the range 10 to 90 degrees two-theta, in order of falling intensity:
Position (°2θ)  d (Å)  Rel. int.
25.7  3.467  1000
25.2  3.539  456
33.5  2.677  305
38.9  2.315  302
43.7  2.070  226
24.4  3.649  213
33.1  2.710  206
40.0  2.255  156



Starting from a structure optimized by DFT (GGA-PBE), the powder diffraction line list of SrCaI4 was computed for Cu Kα, 1.54184 Å.
No peak broadening, texture or thermal motion is included.

Cell lengths 9.832, 10.902, 11.362 Å; angles 90.00, 123.58, 90.00 degrees
Atoms (fractional coordinates):
Sr: 0.008 0.216 0.154
Sr: 0.008 0.284 0.654
Sr: 0.992 0.716 0.346
Sr: 0.992 0.784 0.846
Ca: 0.500 0.046 0.287
Ca: 0.500 0.454 0.787
Ca: 0.500 0.546 0.213
Ca: 0.500 0.954 0.713
I: 0.179 0.665 0.170
I: 0.179 0.835 0.670
I: 0.181 0.060 0.987
I: 0.181 0.440 0.487
I: 0.251 0.508 0.886
I: 0.251 0.992 0.386
I: 0.401 0.186 0.805
I: 0.401 0.314 0.305
I: 0.599 0.686 0.695
I: 0.599 0.814 0.195
I: 0.749 0.008 0.614
I: 0.749 0.492 0.114
I: 0.819 0.560 0.513
I: 0.819 0.940 0.013
I: 0.821 0.165 0.330
I: 0.821 0.335 0.830

Principal peaks in the range 10 to 90 degrees two-theta, in order of falling intensity:
Position (°2θ)  d (Å)  Rel. int.
26.4  3.381  1000
24.2  3.676  976
25.3  3.516  744
30.3  2.954  698
28.4  3.137  684
25.6  3.474  618
24.9  3.574  530
27.2  3.274  490



Starting from a structure optimized by DFT (GGA-PBE), the powder diffraction line list of SrCaI4 was computed for Cu Kα, 1.54184 Å.
No peak broadening, texture or thermal motion is included.

Cell lengths 9.021, 9.021, 9.021 Å; angles 115.20, 106.69, 106.68 degrees
Atoms (fractional coordinates):
Sr: 0.500 0.000 0.000
Sr: 0.500 0.500 0.500
Ca: 0.015 0.265 0.750
Ca: 0.985 0.735 0.250
I: 0.190 0.175 0.485
I: 0.190 0.705 0.015
I: 0.272 0.727 0.545
I: 0.317 0.273 0.045
I: 0.683 0.727 0.955
I: 0.728 0.273 0.455
I: 0.810 0.295 0.985
I: 0.810 0.825 0.515

Principal peaks in the range 10 to 90 degrees two-theta, in order of falling intensity:
Position (°2θ)  d (Å)  Rel. int.
24.7  3.598  1000
40.1  2.248  379
26.2  3.406  369
32.1  2.785  346
16.5  5.386  219
33.3  2.693  215
23.4  3.809  192
37.2  2.417  163



Starting from a structure optimized by DFT (GGA-PBE), the powder diffraction line list of SrCaI4 was computed for Cu Kα, 1.54184 Å.
No peak broadening, texture or thermal motion is included.

Cell lengths 7.636, 7.636, 4.788 Å; angles 90.00, 90.00, 90.02 degrees
Atoms (fractional coordinates):
Sr: 0.000 0.000 0.000
Ca: 0.500 0.500 0.500
I: 0.207 0.207 0.500
I: 0.308 0.692 0.000
I: 0.692 0.308 0.000
I: 0.793 0.793 0.500

Principal peaks in the range 10 to 90 degrees two-theta, in order of falling intensity:
Position (°2θ)  d (Å)  Rel. int.
24.9  3.582  1000
40.1  2.247  379
26.1  3.415  344
32.2  2.780  324
33.2  2.700  238
16.4  5.399  215
23.3  3.818  208
41.9  2.156  180

* * * * *

Computed powder diffraction line list
Compound: VGe2BiO8
____________
Job =
Duplicate the whole of the entries earlier on exactly.
Done =
Starting from a structure optimized by DFT (GGA-PBE), the powder diffraction line list of SrCa2I6 was computed for Cu Kα, 1.54184 Å.
No peak broadening, texture or thermal motion is included.

Cell lengths 7.298, 27.060, 8.094 Å; angles 90.00, 90.00, 90.00 degrees
Atoms (fractional coordinates):
Sr: 0.000 0.121 0.250
Sr: 0.000 0.879 0.750
Sr: 0.500 0.379 0.750
Sr: 0.500 0.621 0.250
Ca: 0.000 0.213 0.750
Ca: 0.000 0.454 0.250
Ca: 0.000 0.546 0.750
Ca: 0.000 0.787 0.250
Ca: 0.500 0.046 0.750
Ca: 0.500 0.287 0.250
Ca: 0.500 0.713 0.750
Ca: 0.500 0.954 0.250
I: 0.237 0.463 0.572
I: 0.237 0.537 0.072
I: 0.242 0.128 0.592
I: 0.242 0.872 0.092
I: 0.250 0.207 0.068
I: 0.250 0.293 0.568
I: 0.250 0.707 0.068
I: 0.250 0.793 0.568
I: 0.258 0.372 0.092
I: 0.258 0.628 0.592
I: 0.263 0.037 0.072
I: 0.263 0.963 0.572
I: 0.737 0.037 0.428
I: 0.737 0.963 0.928
I: 0.742 0.372 0.408
I: 0.742 0.628 0.908
I: 0.750 0.207 0.432
I: 0.750 0.293 0.932
I: 0.750 0.707 0.432
I: 0.750 0.793 0.932
I: 0.758 0.128 0.908
I: 0.758 0.872 0.408
I: 0.763 0.463 0.928
I: 0.763 0.537 0.428

Principal peaks in the range 10 to 90 degrees two-theta, in order of falling intensity:
Position (°2θ)  d (Å)  Rel. int.
25.7  3.467  1000
25.2  3.539  456
33.5  2.677  305
38.9  2.315  302
43.7  2.070  226
24.4  3.649  213
33.1  2.710  206
40.0  2.255  156



Starting from a structure optimized by DFT (GGA-PBE), the powder diffraction line list of SrCaI4 was computed for Cu Kα, 1.54184 Å.
No peak broadening, texture or thermal motion is included.

Cell lengths 9.832, 10.902, 11.362 Å; angles 90.00, 123.58, 90.00 degrees
Atoms (fractional coordinates):
Sr: 0.008 0.216 0.154
Sr: 0.008 0.284 0.654
Sr: 0.992 0.716 0.346
Sr: 0.992 0.784 0.846
Ca: 0.500 0.046 0.287
Ca: 0.500 0.454 0.787
Ca: 0.500 0.546 0.213
Ca: 0.500 0.954 0.713
I: 0.179 0.665 0.170
I: 0.179 0.835 0.670
I: 0.181 0.060 0.987
I: 0.181 0.440 0.487
I: 0.251 0.508 0.886
I: 0.251 0.992 0.386
I: 0.401 0.186 0.805
I: 0.401 0.314 0.305
I: 0.599 0.686 0.695
I: 0.599 0.814 0.195
I: 0.749 0.008 0.614
I: 0.749 0.492 0.114
I: 0.819 0.560 0.513
I: 0.819 0.940 0.013
I: 0.821 0.165 0.330
I: 0.821 0.335 0.830

Principal peaks in the range 10 to 90 degrees two-theta, in order of falling intensity:
Position (°2θ)  d (Å)  Rel. int.
26.4  3.381  1000
24.2  3.676  976
25.3  3.516  744
30.3  2.954  698
28.4  3.137  684
25.6  3.474  618
24.9  3.574  530
27.2  3.274  490



Starting from a structure optimized by DFT (GGA-PBE), the powder diffraction line list of SrCaI4 was computed for Cu Kα, 1.54184 Å.
No peak broadening, texture or thermal motion is included.

Cell lengths 9.021, 9.021, 9.021 Å; angles 115.20, 106.69, 106.68 degrees
Atoms (fractional coordinates):
Sr: 0.500 0.000 0.000
Sr: 0.500 0.500 0.500
Ca: 0.015 0.265 0.750
Ca: 0.985 0.735 0.250
I: 0.190 0.175 0.485
I: 0.190 0.705 0.015
I: 0.272 0.727 0.545
I: 0.317 0.273 0.045
I: 0.683 0.727 0.955
I: 0.728 0.273 0.455
I: 0.810 0.295 0.985
I: 0.810 0.825 0.515

Principal peaks in the range 10 to 90 degrees two-theta, in order of falling intensity:
Position (°2θ)  d (Å)  Rel. int.
24.7  3.598  1000
40.1  2.248  379
26.2  3.406  369
32.1  2.785  346
16.5  5.386  219
33.3  2.693  215
23.4  3.809  192
37.2  2.417  163



Starting from a structure optimized by DFT (GGA-PBE), the powder diffraction line list of SrCaI4 was computed for Cu Kα, 1.54184 Å.
No peak broadening, texture or thermal motion is included.

Cell lengths 7.636, 7.636, 4.788 Å; angles 90.00, 90.00, 90.02 degrees
Atoms (fractional coordinates):
Sr: 0.000 0.000 0.000
Ca: 0.500 0.500 0.500
I: 0.207 0.207 0.500
I: 0.308 0.692 0.000
I: 0.692 0.308 0.000
I: 0.793 0.793 0.500

Principal peaks in the range 10 to 90 degrees two-theta, in order of falling intensity:
Position (°2θ)  d (Å)  Rel. int.
24.9  3.582  1000
40.1  2.247  379
26.1  3.415  344
32.2  2.780  324
33.2  2.700  238
16.4  5.399  215
23.3  3.818  208
41.9  2.156  180

* * * * *

Computed powder diffraction line list
Compound: VGe2BiO8